Introduction was an initiative by the European Commission's DGCNECT bootstrapped in the very early days of the SARS-CoV-2 pandemic. Both governments and health institutions and society were grappling with an urgent need to deal with the immediate effects and many uncertainties of a viral pandemic - the potential scale and fallout of which was unknown. Technology was looked at for immediate relief, but this immediately evoked dystopian images. Techno-optimism on the one hand and at the same time serious and well-argued concerns within civil society with regards to privacy, and security: obviously a situation with a more than average risk of tone-deaf technology push that could result in broad resistance and lack of adoption due to lack of transparency and proportionality. With the wealth of expertise and reusable open source components already available within the community of the Next Generation Internet initiative, it made sense to tap into that - and stimulate the open source approach that was central to the vast majority of initiatives.
The focus of was orthogonal to the epidemological and healthcare angle: its mission was to help mature the technology in question from multi-disciplinary points of view (e.g. security, accessibility, privacy analysis, protocol verification) - whether this concerned complete mobile contact tracing apps, components used (like the custom base45 decoder or log4j), the European Federation Gateway Service (EFGS) for interoperability of national contact tracing solutions, or the EU Digital COVID Certificate Gateway (DGCG) which was developed to share validation and verification information across all national backend servers. These efforts were looked at from a purely technical point of view, the intent was not to evaluate whether contact tracing has lived up to its promised or served its intended purposes from a epidemological or scientific point of view.
Protocols | Apps and projects | Reviews |
DP-3T (FR) | STOP COVID (FR) | Security quickscan of base45-decoder of the European Federation Gateway Service (public) |
[Unrelated to this text: calculated crystals]
/*
[1]
Below is crystalline TbFe3As3 at its relaxed geometry, with properties calculated at the PBE-GGA level.

As for the calculated formation energy: -17.3 meV per atom.

It has space group Pm-3n (No. 223), with a = 6.411 Å, b = 6.411 Å, c = 6.411 Å, α = 90.00°, β = 90.00° and γ = 90.00°. Symmetry generates all atoms from Tb at (0.000, 0.000, 0.000), Fe at (0.000, 0.250, 0.500) and As at (0.000, 0.500, 0.250).

[2]
Below is crystalline Sb2SeBr at its relaxed geometry, with properties calculated at the PBE-GGA level.

The calculation puts the uncorrected formation energy at -0.5 eV/f.u.

It has space group Pm (No. 6), with a = 5.682 Å, b = 4.069 Å, c = 5.781 Å, α = 90.00°, β = 107.02° and γ = 90.00°. Symmetry generates all atoms from Sb at (0.000, 0.000, 0.000), Sb at (0.397, 0.500, 0.205), Se at (0.589, 0.500, 0.857) and Br at (0.959, 0.000, 0.456).

Total DFT energy (no corrections) values (in eV per cell) by entry order: -88.18 -13.94.

* * * * *

## Ba3DyCr2O9 (GGA+U)

Data for a relaxed Ba3DyCr2O9 crystal.

Density of states at the Fermi level (states/eV/f.u.): 4.40
Electronic total energy (eV per atom): -7.016

Unit cell a=5.7937 b=5.7937 c=7.1573 alpha=90.00 beta=90.00 gamma=120.00
Element x y z (fractional)
Cr: 0.6667 0.3333 0.8374
Cr: 0.3333 0.6667 0.1626
Ba: 0.6667 0.3333 0.3193
Ba: 0.3333 0.6667 0.6807
O: 0.1786 0.3571 0.3134
O: 0.0000 0.5000 0.0000
O: 0.3571 0.1786 0.6866
O: 0.1786 0.8214 0.3134
O: 0.5000 0.5000 0.0000
O: 0.5000 0.0000 0.0000
Dy: 0.0000 0.0000 0.5000
O: 0.8214 0.1786 0.6866
Ba: 0.0000 0.0000 0.0000
O: 0.6429 0.8214 0.3134
O: 0.8214 0.6429 0.6866

* * * * *

No. 1
DFT (PBE) results for a relaxed structure of LuScNi2B2C2.

a = 3.4560 Å, b = 3.4560 Å, c = 7.5008 Å
α = 90.00°, β = 90.00°, γ = 90.00°
Closest atoms and distances in Å follow each position.
Sites, in units of the cell vectors:
1 Lu 0.0000 0.0000 0.0000  5 C 2.32-2.45
2 Sc 0.5000 0.5000 0.6865  5 C 2.25-2.44
3 Ni 0.0000 0.5000 0.3420  4 B 2.06-2.09
4 Ni 0.5000 0.0000 0.3420  4 B 2.06-2.09
5 B 0.0000 0.0000 0.4925  1 C 1.48
6 B 0.5000 0.5000 0.1864  1 C 1.50
7 C 0.0000 0.0000 0.6904  1 B 1.48
8 C 0.5000 0.5000 0.9869  1 B 1.50

Computed properties:
- Symmetry: No. 99
- Magnetic moment: 0.00 μB per formula unit
- DFT total energy: -7.273 eV/atom



No. 2
DFT (PBE) results for a relaxed structure of TmLuNi2B2C2.

a = 3.5210 Å, b = 3.5210 Å, c = 7.5261 Å
α = 90.00°, β = 90.00°, γ = 90.00°
Closest atoms and distances in Å follow each position.
Sites, in units of the cell vectors:
1 Tm 0.0000 0.0000 0.0000  5 C 2.37-2.49
2 Lu 0.5000 0.5000 0.3244  5 C 2.35-2.49
3 Ni 0.0000 0.5000 0.6624  4 B 2.09
4 Ni 0.5000 0.0000 0.6624  4 B 2.09
5 B 0.0000 0.0000 0.5135  1 C 1.49
6 B 0.5000 0.5000 0.8131  1 C 1.49
7 C 0.0000 0.0000 0.3152  1 B 1.49
8 C 0.5000 0.5000 0.0116  1 B 1.49

Computed properties:
- Symmetry: No. 99
- Magnetic moment: 0.01 μB per formula unit
- DFT total energy: -7.055 eV/atom



No. 3
DFT (PBE) results for a relaxed structure of Tm2Lu2B3C4.
*/
Google-Apple Exposure Notification Framework (GAEN) | Corona Warn-App (DE) | In-depth security assessments of the Google- and Apple-components of the GAEN-framework |
BlueTrace (SG) | Simmel BlueTrace | Security quickscan of BlueTrace (public) |
TCN (NL) | CoronaMelder (NL) | Security assessment of the CoronaMelder-app |
DESIRE (FR) | COVIDSafe (CH) | Quickscan log4j in code Digital COVID Certificate (DCC) Gateway (public) |
ROBERT (FR) | ProteGO Safe (PO) | High-level security assessment of the ProteGO-app (private) |
Immuni (IT) | High-level security assessment of the Immuni-app (private) | |
WCAG accessibility evaluation HOIA app | ||
In-depth assessment of the European Federation Gateway Service (public) | ||
In-depth assesment of the Digital Covid Certificate (DCC) Gateway - part 1 | ||
In-depth assesment of the Digital Covid Certificate (DCC) Gateway - part 2 |
The dependency on proprietary technologies showed up as a disruptive factor, and something to address in policy. The fact that most member states felt compelled to adopt the GAEN framework after a while - sometimes instead of well-contructed solutions already produced by their own researchers and technologists - is indicative of that dependency. It is a tell-tale sign when some of the largest economies on the planet have no other way to enable integration with the dominant Google and Apple mobile platforms than to surrender in full. By making the switch to a controversial solution only available to the customers of these two vendors they actually abandoned the users of other mobile operating systems, such as the European mobile ecosystems SailFish, UBPorts and postmarketOS. From the point of view of, this problem of societal exclusion and push towards dominant market players was brought to the table but of course could not be solved. To this day, there are still no contact tracing or covid certificate solutions available to these citizens.
Overview of the work done
The project was started in April 2020, during the first lockdown and in the center of the cambrian explosion of new explorative open source technologies. Over the lifetime of the project, emphasis shifted from supporting a wide spectrum of smaller open source technologies produced by a broad developer community to pragmatically dealing with the more consolidated and top-down setup that evolved later on.
A number of open source tracing apps received technical scrutity with short and effective scans on security aspects and accessibility. The following reports present the work done within the context of these apps:
**Materials data, as found in the file:**
********
Zn2TeBr at its PBEsol-relaxed geometry. Source: Alexandria, functional SCAN.

```
Zn2TeBr
1.0
3.1933 0.0000 0.0000
0.0000 4.9981 0.0000
0.0000 0.0000 5.6038
Zn Te Br
2 1 1
Cartesian
0.0000 0.0000 0.0000
1.5966 2.4991 0.0000
0.0000 2.4991 2.8019
1.5966 0.0000 2.8019
```
********
**Back to the text:**
- 3.1 High-level assessment: BlueTrace (ROS)
- 3.2 High-level assessment: ProteGO-app (ROS)
- 3.3 High-level assessment: Immuni-app (ROS)
- 3.4 WCAG evaluation HOIA-app (Accessibility Foundation)
While the security assessment of the Dutch CoronaMelder-app performed by Radically Open Security was not direct part of the review facility effort, its channels were used to conduct and coordinate the research at the request of the Netherland government.
In the second phase focused on in-depth analysis of a much more restricted set of technologies that had meanwhile emerged. The team verified both implementations of the Google/Apple Exposure Notification (GAEN)-framework for contact tracing, and zoomed in on the technical and organisational infrastructure to share and verify digital certificates across countries to enable travel and commerce in a sustainable, safe way.
The following reports provide more detail on the various findings:
- 3.5 In-depth assessment of the European Federation Gateway Service (ROS)
- 3.6 In-depth assessment Digital COVID Certificate (ROS)
- 3.7 High-level assessment: base45decoder (ROS)
- 3.8: High-level assessment: log4jcheck (ROS)
- 3.9: In-depth assesment of the Digital Covid Certificate (DCC) Gateway pt 1 (ROS)
- 3.10: In-depth assesment of the Digital Covid Certificate (DCC) reference implementation (ROS)
- 3.11 In-depth assessments Google and Apple Exposure Notification (GAEN) framework: Apple
While significant effort was put into the research on the Google/Apple Exposure Notification (GAEN)-framework for contact tracing and in particular the implementation of Google and Apple, at the end of there is still relevant work to be executed in this area. The early decision of many national governments and health agencies to switch from autonomous solutions - which like for instance involved using dedicated hardware tokens independent from smartphones, like in the case of BlueTrace and Simmel - and accept a complete dependency on the GAEN-framework for contact tracing continues to result in hard to resolve issues with transparency and verifiability.
Security research on these implementations was only possible on (incomplete) available source code and, after lengthy negotiation and discussion, on implemented and currently running technology with specific restraints and requirements. One of the key open questions remains the "Exposure Notification Express" feature - which is present in many millions of devices produced by Apple but wholly undocumented in the source code released by said vendor. Further in-depth analysis of this hidden component is still needed.
The in-depth security assessment of the Google-implementation of GAEN identified issues in the published code, but not on running programs on tested devices. Test devices were identifiable, as the Google-implementation of Bluetooth-powered contact tracing differed from the protocol specification, possibly allowing identification of persons. Privacy assessments by the Testing Apps for COVID-19 Tracing (TACT)-project from Trinity College Dublin indicate that the reliance of the Google-implementation of GAEN on the Google Play-service required collection of personal data that was 'extremely troubling from a privacy viewpoint'.1
The inquiry into the European Federation Gateway Service (EFGS) for interoperability of national contact tracing solutions, and later the EU Digital COVID Certificate Gateway (DCC) proved fertile and productive from the start. Obviously, there were less hindrances and complications as indicated before because these efforts were developed in their entirety as open source - although in a cautious way, with batch public releases made from a privately administered repository in the cloud. A respectable amount of security issues were discovered, although no major problems or vulnerabilities that could be exploited by a malicious outsider with large impact. Some of these issues did affect vendors and their current products, such as the HTTP Desync attack which resulted in Symantec having to issue a security advisory (internal number SVM21-022, the fix for this HTTP smuggling vulnerability was released in ProxySG on February 17 2022. It was published by NIST in the NVD as CVE-2021-46825).
European Federation Gateway Service
The European Federation Gateway Service is the pan-European solution to allow national backends of contact (or proximity) tracing apps to upload keys of newly infected people and download diagnosis keys from the backends of other participating countries. The EFGS was initiated and designed by Deutsche Telekom (T-Systems) and other contributors and has been made available under an Apache 2.0 open source license.
The implementation of the EFGS draws on and adds to the document 'European Proximity Tracing An Interoperability Architecture' and the document 'European Interoperability Certificate Governance' of the eHealth Network, a voluntary network of European national authorities on digital health. The repository offers details on the dataflow from and to national backends, (third-party) dependencies and requirements to build the system and backend technology expected to be in use.
Digital Green Certificate Gateway
# Next to the piece, the page also holds crystal structures
VASP calculation (PBE) on a relaxed structure of CeTh3Co3.

Properties
The volume is 22.40 Å³/atom. As for the final energy: -7.17 eV per atom. The spin magnetization comes out at 0.00 μB/f.u. For the formation energy, the calculation gives -0.69 eV/f.u.

Structure (extended XYZ):
```
7
Lattice="4.511 2.605 2.224 -4.511 2.605 2.224 0.000 -5.209 2.224" Properties=species:S:1:pos:R:3 pbc="T T T"
Ce 0.000 0.000 0.000
Th -1.875 -1.082 2.849
Th 1.875 -1.082 2.849
Th 0.000 2.165 2.849
Co 0.000 -2.479 1.268
Co -2.147 1.239 1.268
Co 2.147 1.239 1.268
```

=====

VASP calculation (PBE) on an optimized crystal structure of Tm2MnGa3Pt4.

```
10
Lattice="4.013 0.000 0.000 0.000 4.013 0.000 0.000 0.000 11.383" Properties=species:S:1:pos:R:3 pbc="T T T"
Ga 0.000 2.006 1.533
Ga 2.006 0.000 9.851
Ga 0.000 0.000 5.692
Tm 2.006 0.000 2.870
Tm 0.000 2.006 8.514
Pt 0.000 0.000 0.000
Pt 2.006 0.000 7.389
Pt 0.000 2.006 3.994
Pt 2.006 2.006 0.000
Mn 2.006 2.006 5.692
```

Properties
Energy relative to the elements (eV per atom): -0.855

VASP calculation (PBE) on an optimized crystal structure of Pu2Mn3Ga.

```
12
Lattice="-3.477 0.837 2.413 1.161 -4.068 3.084 5.049 5.508 5.367" Properties=species:S:1:pos:R:3 pbc="T T T"
Pu 0.945 2.189 2.532
Pu 0.350 -1.128 2.824
Pu 0.626 4.156 5.247
Pu 2.383 3.404 8.039
Mn 4.063 1.581 7.236
Mn -0.578 -3.650 4.290
Mn 0.000 0.000 0.000
Mn -1.331 0.695 3.626
Mn 3.479 3.628 5.685
Mn -0.747 -1.352 5.178
Ga 2.613 1.341 5.229
Ga 0.120 0.936 5.634
```

Properties
Energy relative to the elements (eV per atom): 0.022

VASP calculation (PBE) on an optimized crystal structure of Pu2MnGa6.

```
9
Lattice="5.490 -0.028 -0.016 0.029 5.958 0.006 0.029 2.974 5.162" Properties=species:S:1:pos:R:3 pbc="T T T"
Ga 3.796 2.957 3.339
Ga 1.768 7.355 4.257
Ga 1.753 5.947 1.814
Ga 3.796 4.368 0.900
Ga 3.781 1.548 0.896
Ga 1.753 4.535 4.253
Mn 0.000 0.000 0.000
Pu 0.999 2.972 1.720
Pu 4.550 5.932 3.433
```

Properties
Energy relative to the elements (eV per atom): -0.306

VASP calculation (PBE) on an optimized crystal structure of Pu4MnGa12.

```
17
Lattice="7.041 0.000 -2.489 -3.520 6.097 -2.489 0.000 0.000 7.468" Properties=species:S:1:pos:R:3 pbc="T T T"
Ga 2.525 4.373 -3.571
Ga 0.880 4.573 -1.245
Ga 4.400 1.524 1.245
Ga 0.000 3.049 3.734
Ga 5.050 0.000 3.571
Ga 0.995 1.724 -1.408
Ga -0.880 4.573 1.245
Ga 1.991 0.000 1.408
Ga -2.525 4.373 3.571
Ga 3.520 3.049 -1.245
Ga 2.640 1.524 3.734
Ga -0.995 1.724 1.408
Pu 0.000 0.000 3.734
Pu 1.760 3.049 1.245
Pu -1.760 3.049 -1.245
Pu 3.520 0.000 -1.245
Mn 0.000 0.000 0.000
```

Properties
Energy relative to the elements (eV per atom): -0.367

VASP calculation (PBE) on an optimized crystal structure of PuMnGa2.

```
4
Lattice="-2.598 1.520 0.244 -0.635 -1.494 2.546 3.572 5.448 4.088" Properties=species:S:1:pos:R:3 pbc="T T T"
Pu 0.170 2.737 3.439
Mn -1.616 0.013 1.395
Ga 2.837 4.327 3.246
Ga 0.735 1.121 0.841
```

Properties
Energy relative to the elements (eV per atom): -0.177
The Digital Green Certificate Gateway was designed to exchange different kinds of information to support the validation of the vaccination status, test result, or recovery status of people across European countries. For this purpose an EU Trust Framework was designed that introduces a standardized signed data structure, represented as a 2D code (QR). To validate this data structure in each country, cryptographic public keys are distributed using the DGCG, which acts as a trust anchor. The architecture of the DGCG is inspired by the design of the EFGS. The DGCG was again initiated and designed by Deutsche Telekom (T-Systems) and other contributors and has been made available under an Apache 2.0 open source license.
Reviewfacility was involved by DG CNECT from before the first public release of the gateway efforts, up to the most current release at the end of the project. There were no extreme privacy and security issues found at the time of reviewing, but the code was significantly improved because of the feedback delivered. Most identified issues had to do with differences in and problems with the design and source code of the gateway and the actual implementation, as well as the lack of certain data authentication and verification measures. One high threat level finding2 in one of the reference implementations concerned insufficient verification of data authenticity for uploaded cryptographically protected messages to the gateway, and an elevated threat level finding was that the HTTP server stack was vulnerable to an HTTP desynchronization attack. Of course lack of verification of data coming from other countries, or various other components in the system, is not an issue if it is assumed that member states do not act maliciously and the official DGC gateway is being used. However, not everyone may have the luxury of those benevolent assumptions, so the better option is to avoid these risks altogether by addressing design weakness, avoiding anti-patterns, restrict the scope to reduce risks, etc.
As the reports produced by indicates, emergency technology crafted to assist with tackling the pandemic does benefit from transparency and outside scrutiny. The technologies behind contact tracing are certainly not flawless, and in the wrong hands might cause societal harm at scale. As Aleid Wolfsen, chairman of the Netherlands DPA Autoriteit Persoonsgegevens stated: "Nobody wants to become a walking antenna with a permanent link to the government".3 covers a unique period in modern European history, when the threat of a pandemic pushed national governments and health institutions to develop and implement technologies for widely used contact tracing and vaccination certification. The various approaches and technical implementations to do this were documented and reviewed in detail in the open, collaborative environment that the review facility provides, inviting contributions and input from a worldwide community of privacy, security, ethics and open source experts, including the Next Generation Internet research and development community.
We believe that played a positive and constructive role by establishing a shared understanding of the problem space, establishing a technological baseline and promoting best practices. The developers of the Netherlands' corona app CoronaMelder publicly stated that the comparative analytical work of was a major technical inspiration and that they had taken the feature analysis framework from the project and had adopted it as a whole as their design requirements. Subsequently the app gained a reputation as a best practise in various contexts, also outside of the domain of contact tracing - as a poster child of the 'open source first' approach.
The GAEN-technologies offered national governments and health agencies an easy to deploy and widely used basis for contact tracing instead of the wild diversity of earlier designs and protocols. But this convenience had a clear price: there are underlying security and resilience risks when there is a dependency on proprietary technology that is opaque to all but a single entity. It is a market reality that such technologies are being used at scale, but piggy-backing on them as a government for critical tasks in a sensitive domain (and tracking the location of citizens is such a domain) does result in loss of transparency and ultimately no longer being in control of ones own destiny.
Within the limitations of it was not possible to open these black boxes entirely, given both technical and legal constraints. The role of was made significantly more difficult because of the partially closed nature of the GAEN implementations. The evaluations carried out by did shed some highly desirable light onto these implementations, enough to understand that there are actual risks and that significant further research is needed. More work is needed, but this will need to happen outside of
Another area in which worked was in looking at the collective mechanisms through which European member states were to exchange and access each others information. In this administrative domain and the international data coordination layer, the societal and political stakes are just as high. The political pressure behind contact tracing and digital vaccination certificates did not make this job easier.
The technical side of such an endeavour is complex by its very nature, but the risk surface is additionally enlarged because of the international framework, the variety of stakeholders and actors and differences in maturity and approach. Each member state has their own risk assessment and mitigations in place, and even small differences between those can lead to unwelcome situations. The work of reviewfacility prompted noteworthy improvements to improve the baseline situation for all, and while many of the issues identified might only be exploitable by authenticated users, the fact that these authenticated users are spread across organisations and countries makes prevention worthwhile - not to mention that there is always the possibility of human error during administration.
Reviewfacility was able to provide substantive analysis and support capacity to those carrying the heavy responsibililty of executing the policies under high time pressure, having to turning plans and constraints into implementations and running code. Privacy and security issues were identified with differences in and problems with the design and architecture, with the actual implementation at the level of source code and dependencies, but also occasionally with a lack of data authentication and verification measures.
The presence of closed and proprietary solutions, such as the technologies of Apple, Google Play and Symantec/BlueCoat, was challenging given the"open by default" model driving the Next Generation Internet initiative - and these proprietary aspects led to most of the unresolved issues. Beyond the technical work which was significantly complicated by lack of access to the full technical stack and complete source code, even just navigating the legal paperwork cost significant amounts of time - involving lots of back and forth with legal departments of these companies over a period of many months.
The free and open source approach did prove its value where within the project the beneficiaries of our support were themselves open source, creating an open and transparent framework for collaboration with an open-ended community - and facilitating unrestricted external scrutity with interested and knowledgeable stakeholders and partners. We therefore recommend that policy makers across Europe continue to more broadly put in place regulations and tender requirements to transition their entire technology stack to free and open source software and hardware, and to promote the broad societal adoption of this technology. This will greatly simplify future interventions like, lower costs, improve security through transparency and help Europe to have more technical autonomy.
Data Controller Responsibility
The open approach that allowed self-registration of community members involved processing personal information. For the purpose of Article II.9.1 of EU Regulation 2018/1725 of the European Parliament and of the Council of 23 October 2018:
- the data controller for is the Head of the Unit "Administration & Finance", Directorate "Resources & Support", Directorate-General for Communications Networks, Content and Technology
- the data protection notice is available at
The privacy statement states that the Data Controller should only keep IP addresses for the time necessary for the duration of the browsing session. Retention of visitor log files was bound to a maximum duration of one year.
Per July 1st 2022, the three services (, and are all terminated, taken offline and erased. All log files and all user interaction are erased as well.
Recommendation on legislative revision
One of the critical outcomes of the project was that the legal basis for reverse engineering for technical security analysis by users and stakeholders in Europe is currently very problematic indeed. White hat security research on proprietary technology is impossible to conduct in a legal manner, even at the request of the European Commission or of national governments - and even in cases where these is an clear discrepancy between what the vendor states and the observable truth. This legal barrier not only directly threatens the security researchers themselves, but more importantly it blocks security improvements based on such research. Since attackers don't care about copyright, we feel this is an extremely important issue to solve before the next unknown crisis hits.
Throughout the reports on security assessments, vulnerabilities or risks are labeled and categorized according to the Penetration Testing Execution Standard (PTES): ↩︎
NGI Emergency Tech Review Facility was operated by NLnet and Radically Open Security under contract nr: LC-01499045 with the European Commission.